(Excerpt)
____________
1.
ORCA calculation (ωB97M-V/def2-TZVPD) on a molecular structure, C19H28F9N2O4P3Ti at a distorted geometry.

Cartesian coordinates (Å):
F: 2.1979 -0.2373 -1.4268
C: 3.1341 3.5590 2.9341
H: -2.4017 1.9224 -4.2861
H: -2.9161 -0.3950 -5.0791
H: 2.7088 -2.7148 -0.2008
H: -1.9803 4.4344 -2.0366
F: 1.4654 1.7845 -1.6002
C: 0.5453 -1.8843 2.7999
F: -0.5906 -4.1921 -0.3368
C: 1.0303 0.4707 -1.6791
O: -1.6440 -0.4402 -2.1802
C: -0.7225 4.4395 2.0504
F: -0.9947 -5.0479 -2.4487
H: -1.5259 4.0406 -3.7164
H: -2.6852 -1.7741 -3.9562
H: 3.1072 4.5417 2.4541
C: -0.5904 4.5668 4.4516
H: -0.5791 5.1561 5.3612
H: 3.7100 -0.5496 1.3519
Ti: -0.7330 -0.1786 -0.5665
H: 5.1187 1.9062 1.5013
F: 0.0684 -2.1250 -1.2024
H: 2.3970 3.5599 3.7439
C: -2.1918 0.1118 -3.1332
H: 4.5023 3.1337 0.3584
C: -3.0030 -0.7375 -4.0474
P: 2.6789 2.2626 1.6902
C: 2.8522 0.8024 2.8150
N: -1.0298 2.8004 -0.2391
C: -1.5596 2.3676 -2.3886
C: 2.9374 -0.5764 2.1264
H: -0.7874 6.2708 3.1621
H: 1.5157 -3.6506 0.6900
H: 3.7434 0.9595 3.4301
C: -2.0737 1.5138 -3.3412
H: -0.3070 4.0606 -2.4164
C: -1.3403 3.8173 -2.6665
C: -0.7089 5.1917 3.2165
N: -1.2698 1.8865 -1.1639
H: 1.9815 0.8221 3.4817
H: -0.4103 2.6912 5.4761
C: -0.4964 2.4336 3.3479
F: 1.0198 -4.0686 -1.9428
C: -0.4917 3.1851 4.5154
H: 0.1484 -1.0285 3.3527
O: -0.2452 1.0259 0.9350
H: -0.8112 4.9083 1.0799
C: 4.3022 2.1610 0.8177
H: 1.2126 -2.4654 3.4432
H: 4.2465 1.4253 0.0125
C: -0.6065 3.0551 2.1147
H: 4.1335 3.3956 3.3532
F: 0.8617 0.2884 -3.0436
O: -2.4380 -0.0964 0.2730
H: -4.0496 -0.6621 -3.7411
O: -1.6215 -1.1887 0.7173
H: 3.0212 -3.1441 1.5057
P: 1.4199 -1.3040 1.2935
F: -2.0257 -3.1427 -1.7218
C: 2.2534 -2.8569 0.7789
H: 3.2318 -1.3179 2.8721
H: -0.2996 -2.4971 2.4819
C: -0.6058 2.2149 0.8966
H: -0.4380 1.3499 3.3812
P: -0.5253 -3.6346 -1.8435
F: -0.4346 -2.9786 -3.3094

Calculated values
E_tot ... -106775.2868 eV
Max |F| ... 0.0612 Eh/bohr
Molar mass ... 660.21 g/mol
Relative energy (zero: lowest compared OMol25 entry of this formula, charge and spin) ... 14.6 kcal/mol
⟨S²⟩ ... 0.77
2S+1 ... 2
Net charge ... -1

Electronic structure analysis, Löwdin charges in units of e: -0.03, -0.31, 0.11, 0.09, 0.04, 0.08, -0.01, -0.26, -0.14, -0.52, -0.09, -0.02, -0.15, 0.08, 0.08, 0.03, -0.10, 0.10, 0.06, 0.98, 0.04, -0.27, 0.02, -0.38, 0.03, 0.02, 0.90, -0.42, 0.13, -0.28, -0.40, 0.10, 0.03, 0.07, 0.04, 0.09, -0.03, -0.08, -0.01, 0.06, 0.10, -0.03, -0.14, -0.08, 0.03, -0.16, 0.11, -0.30, 0.04, 0.02, -0.16, 0.03, 0.02, -0.31, 0.10, -0.34, 0.04, 0.92, -0.12, -0.27, 0.06, 0.04, -0.42, 0.11, 0.20, -0.14

=====

2.
ORCA calculation (ωB97M-V/def2-TZVPD) on C19H17NO4 in the gas phase at a distorted geometry.

Cartesian coordinates (Å):
H: -3.1053 1.9742 -1.5425
O: -1.5583 4.9545 0.7651
H: -0.5019 0.3506 2.3360
H: 1.7734 -2.0051 4.3887
H: -0.9027 -1.9830 3.0692
H: 0.9200 -0.4198 3.8307
H: 1.4402 2.1877 1.7757
C: -1.8050 1.3462 0.5249
C: -2.5340 -0.8747 -3.2143
H: -0.3189 4.5188 -2.1497
H: 4.3209 2.7723 -2.2093
C: 3.0369 2.3804 -0.1183
C: -0.9076 0.1389 1.2560
H: -2.4173 -2.9161 -3.8083
H: 2.1793 4.0693 -3.5383
C: 1.5855 2.5967 0.6652
H: 3.9532 1.8292 0.3753
C: 0.3050 3.3903 -0.0602
C: 0.5686 3.9392 -1.6148
O: -0.1856 -3.4931 -2.5134
O: -2.0066 2.5997 1.2705
C: -0.5903 -1.2984 0.4617
N: -2.4765 -2.3861 -2.9073
C: -0.2182 -4.0241 0.7644
C: 0.1922 -2.3487 2.7646
C: 0.3087 -2.5094 1.1038
C: 2.0063 3.7070 -2.4249
C: 3.2782 2.9360 -1.6776
C: -1.2083 -1.4287 -1.0505
H: 1.4645 -2.3353 0.8636
C: -2.1253 -0.2633 -1.7492
H: 2.3130 -1.2601 2.7101
C: -2.4599 1.1569 -1.0024
H: 0.2925 -3.4266 3.2677
H: 0.4438 -4.4075 -0.1514
C: -1.1317 3.6681 0.6958
H: -1.3295 -3.9847 0.3939
H: -0.0605 -4.8098 1.6199
C: -1.1265 -2.6021 -2.1915
O: -2.8030 -0.3051 -4.3916
C: 1.3905 -1.4342 3.4131

Calculated values
E_tot ... -29637.0170 eV
Max |F| ... 0.1815 Eh/bohr
Molar mass ... 323.35 g/mol
Relative energy (zero: lowest compared OMol25 entry of this formula, charge and spin) ... 530.2 kcal/mol
____________

(What to do)
Next, print the data earlier on from the first line to the one with "... 660.21" unchanged.

(Solution)
1.
ORCA calculation (ωB97M-V/def2-TZVPD) on a molecular structure, C19H28F9N2O4P3Ti at a distorted geometry.

Cartesian coordinates (Å):
F: 2.1979 -0.2373 -1.4268
C: 3.1341 3.5590 2.9341
H: -2.4017 1.9224 -4.2861
H: -2.9161 -0.3950 -5.0791
H: 2.7088 -2.7148 -0.2008
H: -1.9803 4.4344 -2.0366
F: 1.4654 1.7845 -1.6002
C: 0.5453 -1.8843 2.7999
F: -0.5906 -4.1921 -0.3368
C: 1.0303 0.4707 -1.6791
O: -1.6440 -0.4402 -2.1802
C: -0.7225 4.4395 2.0504
F: -0.9947 -5.0479 -2.4487
H: -1.5259 4.0406 -3.7164
H: -2.6852 -1.7741 -3.9562
H: 3.1072 4.5417 2.4541
C: -0.5904 4.5668 4.4516
H: -0.5791 5.1561 5.3612
H: 3.7100 -0.5496 1.3519
Ti: -0.7330 -0.1786 -0.5665
H: 5.1187 1.9062 1.5013
F: 0.0684 -2.1250 -1.2024
H: 2.3970 3.5599 3.7439
C: -2.1918 0.1118 -3.1332
H: 4.5023 3.1337 0.3584
C: -3.0030 -0.7375 -4.0474
P: 2.6789 2.2626 1.6902
C: 2.8522 0.8024 2.8150
N: -1.0298 2.8004 -0.2391
C: -1.5596 2.3676 -2.3886
C: 2.9374 -0.5764 2.1264
H: -0.7874 6.2708 3.1621
H: 1.5157 -3.6506 0.6900
H: 3.7434 0.9595 3.4301
C: -2.0737 1.5138 -3.3412
H: -0.3070 4.0606 -2.4164
C: -1.3403 3.8173 -2.6665
C: -0.7089 5.1917 3.2165
N: -1.2698 1.8865 -1.1639
H: 1.9815 0.8221 3.4817
H: -0.4103 2.6912 5.4761
C: -0.4964 2.4336 3.3479
F: 1.0198 -4.0686 -1.9428
C: -0.4917 3.1851 4.5154
H: 0.1484 -1.0285 3.3527
O: -0.2452 1.0259 0.9350
H: -0.8112 4.9083 1.0799
C: 4.3022 2.1610 0.8177
H: 1.2126 -2.4654 3.4432
H: 4.2465 1.4253 0.0125
C: -0.6065 3.0551 2.1147
H: 4.1335 3.3956 3.3532
F: 0.8617 0.2884 -3.0436
O: -2.4380 -0.0964 0.2730
H: -4.0496 -0.6621 -3.7411
O: -1.6215 -1.1887 0.7173
H: 3.0212 -3.1441 1.5057
P: 1.4199 -1.3040 1.2935
F: -2.0257 -3.1427 -1.7218
C: 2.2534 -2.8569 0.7789
H: 3.2318 -1.3179 2.8721
H: -0.2996 -2.4971 2.4819
C: -0.6058 2.2149 0.8966
H: -0.4380 1.3499 3.3812
P: -0.5253 -3.6346 -1.8435
F: -0.4346 -2.9786 -3.3094

Calculated values
E_tot ... -106775.2868 eV
Max |F| ... 0.0612 Eh/bohr
Molar mass ... 660.21 g/mol